_What to do_
The reader should start at the top of the data below and write out each line, ending with the one that has "4.21271".
_Excerpt_
=====
No. 1
Computed, not measured: a molecular structure, C2H7NSi in a non-equilibrium geometry, with the ωB97M-V functional and the def2-TZVPD basis.

Properties
Energy   -424.547000 a.u.
2S+1   1
ΔE to the lowest compared entry with this formula, charge and spin   45.82 kcal per mole
Orbital gap   8.44 eV

CARTESIAN COORDINATES (ANGSTROEM)
Si 0.68334 -0.75249 0.42055
N -1.54687 0.08309 0.79226
C 1.71368 0.64910 -0.37885
C -2.42042 0.02704 -0.06419
H 1.59564 0.95425 -1.41208
H 1.59039 1.55003 0.27310
H -2.31409 -0.41886 -1.03718
H 0.87354 -0.75944 1.84456
H -3.42247 0.43532 0.07829
H 2.79402 0.38868 -0.23578
H 0.45324 -2.15673 -0.28068

---

No. 2
Computed, not measured: 2 unconnected molecules or ions with the total composition C2H7O, with the ωB97M-V functional and the def2-TZVPD basis.

Properties
Energy   -155.603921 a.u.
2S+1   1
Charge   -1
ΔE to the lowest compared entry with this formula, charge and spin   2.32 kcal per mole
Orbital gap   6.61 eV

CARTESIAN COORDINATES (ANGSTROEM)
O -0.61569 -1.64265 1.58292
C 0.01080 0.13268 -0.90496
C 0.70041 1.50852 -0.73730
H -0.19003 -0.33096 0.07872
H 0.62274 -0.59196 -1.44558
H 1.18343 1.52486 0.24006
H 1.46574 1.71661 -1.50119
H -1.43223 -1.72682 2.10331
H -0.93416 0.25440 -1.44072
H -0.08205 2.26744 -0.84737

---

No. 3
Computed, not measured: 2 unconnected molecules or ions with the total composition C2H7O in a non-equilibrium geometry, with the ωB97M-V functional and the def2-TZVPD basis.

Properties
Energy   -155.535505 a.u.
2S+1   2
ΔE to the lowest compared entry with this formula, charge and spin   7.82 kcal per mole
Orbital gap (alpha / beta)   11.98 / 8.90 eV

CARTESIAN COORDINATES (ANGSTROEM)
O 0.35142 -1.00949 4.21271
C 3.22242 0.28766 4.26836
C 0.16529 -0.88986 5.55637
H 2.87979 1.17110 4.82021
H 0.89911 -1.46934 6.14416
H -0.83526 -1.33614 5.75581
H 0.12536 0.16126 5.89194
H 3.60152 -0.45626 4.97843
H 2.26847 -0.18219 3.79872
H 3.96264 0.54272 3.50260
=====
_Here it is_
No. 1
Computed, not measured: a molecular structure, C2H7NSi in a non-equilibrium geometry, with the ωB97M-V functional and the def2-TZVPD basis.

Properties
Energy   -424.547000 a.u.
2S+1   1
ΔE to the lowest compared entry with this formula, charge and spin   45.82 kcal per mole
Orbital gap   8.44 eV

CARTESIAN COORDINATES (ANGSTROEM)
Si 0.68334 -0.75249 0.42055
N -1.54687 0.08309 0.79226
C 1.71368 0.64910 -0.37885
C -2.42042 0.02704 -0.06419
H 1.59564 0.95425 -1.41208
H 1.59039 1.55003 0.27310
H -2.31409 -0.41886 -1.03718
H 0.87354 -0.75944 1.84456
H -3.42247 0.43532 0.07829
H 2.79402 0.38868 -0.23578
H 0.45324 -2.15673 -0.28068

---

No. 2
Computed, not measured: 2 unconnected molecules or ions with the total composition C2H7O, with the ωB97M-V functional and the def2-TZVPD basis.

Properties
Energy   -155.603921 a.u.
2S+1   1
Charge   -1
ΔE to the lowest compared entry with this formula, charge and spin   2.32 kcal per mole
Orbital gap   6.61 eV

CARTESIAN COORDINATES (ANGSTROEM)
O -0.61569 -1.64265 1.58292
C 0.01080 0.13268 -0.90496
C 0.70041 1.50852 -0.73730
H -0.19003 -0.33096 0.07872
H 0.62274 -0.59196 -1.44558
H 1.18343 1.52486 0.24006
H 1.46574 1.71661 -1.50119
H -1.43223 -1.72682 2.10331
H -0.93416 0.25440 -1.44072
H -0.08205 2.26744 -0.84737

---

No. 3
Computed, not measured: 2 unconnected molecules or ions with the total composition C2H7O in a non-equilibrium geometry, with the ωB97M-V functional and the def2-TZVPD basis.

Properties
Energy   -155.535505 a.u.
2S+1   2
ΔE to the lowest compared entry with this formula, charge and spin   7.82 kcal per mole
Orbital gap (alpha / beta)   11.98 / 8.90 eV

CARTESIAN COORDINATES (ANGSTROEM)
O 0.35142 -1.00949 4.21271